### Listing
<<<
Record 1
Formula: C4H11N3
Source: OMol25
Level of theory: the ωB97M-V functional and the def2-TZVPD basis

structure (SMILES): N/C=N\CCCN
energy above the lowest of the compared OMol25 structures with the same formula, charge and spin: 36.4 kcal/mol
electronic energy: -323.248458 Eh
spin multiplicity: 1

Positions of all 18 atoms, in Å:
N: -1.611 1.598 1.145
C: -1.685 0.882 -0.074
N: -0.772 0.565 -0.858
C: 0.611 0.912 -0.566
C: 1.268 -0.127 0.374
C: 0.757 -1.574 0.221
N: 0.515 -1.916 -1.163
H: -0.871 2.271 1.162
H: -2.494 2.033 1.357
H: -2.696 0.600 -0.304
H: 0.594 1.854 -0.053
H: 1.197 0.988 -1.459
H: 2.325 -0.202 0.071
H: 1.345 0.134 1.430
H: 1.592 -2.195 0.569
H: -0.043 -1.790 0.937
H: 0.049 -2.811 -1.195
H: -0.080 -1.219 -1.594


Record 2
Formula: C4H11N3
Source: OMol25
Level of theory: the ωB97M-V functional and the def2-TZVPD basis

energy above the lowest of the compared OMol25 structures with the same formula, charge and spin: 93.3 kcal/mol
electronic energy: -323.157925 Eh
spin multiplicity: 1

Positions of all 18 atoms, in Å:
C: -1.323 -0.267 0.451
C: 0.893 1.244 0.723
C: 1.756 0.064 0.752
C: -0.292 0.438 -0.412
N: -1.998 -1.330 -0.290
N: 1.077 -0.722 -0.604
N: -0.740 1.031 -1.460
H: -0.004 1.364 -2.079
H: -2.938 -1.462 0.078
H: -2.124 -1.103 -1.268
H: 0.863 -1.720 -0.553
H: 1.584 -0.451 -1.441
H: -0.826 -0.736 1.298
H: -2.005 0.490 0.870
H: 1.310 2.097 0.194
H: 0.386 1.489 1.651
H: 1.568 -0.634 1.563
H: 2.813 0.207 0.526


Record 3
Formula: C4H11N3
Source: OMol25
Level of theory: the ωB97M-V functional and the def2-TZVPD basis

structure (SMILES): N/C=C(\N)CCN
energy above the lowest of the compared OMol25 structures with the same formula, charge and spin: 41.7 kcal/mol
electronic energy: -323.240020 Eh
spin multiplicity: 1

Positions of all 18 atoms, in Å:
N: 1.021 -2.199 -1.222
C: 0.319 -0.979 -1.059
C: -0.155 -0.605 0.129
N: 0.309 -1.229 1.308
C: -1.156 0.520 0.327
C: -0.575 1.859 -0.157
N: 0.782 2.091 0.359
H: 0.537 -2.995 -0.834
H: 1.293 -2.445 -2.162
H: 0.359 -0.312 -1.910
H: -0.433 -1.618 1.870
H: 1.128 -1.801 1.186
H: -2.051 0.267 -0.238
H: -1.253 0.631 1.404
H: -0.608 1.954 -1.239
H: -1.256 2.619 0.242
H: 1.002 1.348 1.019
H: 0.738 2.895 0.978


Record 4
Formula: C4H11N3
Source: OMol25
Level of theory: the ωB97M-V functional and the def2-TZVPD basis

structure (SMILES): [H]/N=C(\N)NCCC
energy above the lowest of the compared OMol25 structures with the same formula, charge and spin: 62.3 kcal/mol
electronic energy: -323.207237 Eh
spin multiplicity: 1

Positions of all 18 atoms, in Å:
H: -2.837 2.546 -0.759
N: -1.936 2.259 -1.158
C: -1.481 1.380 -0.347
N: -2.065 1.329 0.903
N: -0.326 0.670 -0.332
C: -0.008 -0.575 0.486
C: 1.118 -1.437 0.020
C: 2.304 -0.846 -0.537
H: -1.490 1.704 1.629
H: -2.445 0.337 1.133
H: -0.148 0.403 -1.326
H: 0.069 -0.447 1.550
H: -0.910 -1.130 0.436
H: 0.642 -2.214 -0.734
H: 1.453 -1.944 1.011
H: 2.221 -0.444 -1.491
H: 2.627 -0.009 0.116
H: 3.212 -1.584 -0.600


Record 5
Formula: C4H11N3
Source: OMol25
Level of theory: the ωB97M-V functional and the def2-TZVPD basis

structure (SMILES): [H]/N=N/C.C/C=C/N
energy above the lowest of the compared OMol25 structures with the same formula, charge and spin: 100.3 kcal/mol
electronic energy: -323.146777 Eh
spin multiplicity: 1

Positions of all 18 atoms, in Å:
H: 1.839 -0.731 -1.868
N: 2.247 -0.380 -0.995
N: 1.455 0.507 -0.511
C: 1.829 0.992 0.773
H: 2.462 1.889 0.591
H: 1.078 1.360 1.447
H: 2.436 0.293 1.356
C: -1.975 1.148 -0.498
C: -1.143 -0.108 -0.592
C: -0.950 -0.962 0.421
N: -0.184 -2.174 0.493
H: -1.663 2.073 -1.221
H: -2.181 1.415 0.579
H: -2.904 0.970 -0.907
H: -0.957 -0.341 -1.687
H: -1.132 -0.705 1.486
H: -0.031 -2.519 1.413
H: -0.226 -2.725 -0.280


Record 6
Formula: C4H11N3
Source: OMol25
Level of theory: the ωB97M-V functional and the def2-TZVPD basis

structure (SMILES): [H]/N=C/NCCCN
energy above the lowest of the compared OMol25 structures with the same formula, charge and spin: 45.6 kcal/mol
electronic energy: -323.233841 Eh
>>>
### Brief
Quote only the last part of the lines above, starting with the line that has "1.756 0.064".
### Done
C: 1.756 0.064 0.752
C: -0.292 0.438 -0.412
N: -1.998 -1.330 -0.290
N: 1.077 -0.722 -0.604
N: -0.740 1.031 -1.460
H: -0.004 1.364 -2.079
H: -2.938 -1.462 0.078
H: -2.124 -1.103 -1.268
H: 0.863 -1.720 -0.553
H: 1.584 -0.451 -1.441
H: -0.826 -0.736 1.298
H: -2.005 0.490 0.870
H: 1.310 2.097 0.194
H: 0.386 1.489 1.651
H: 1.568 -0.634 1.563
H: 2.813 0.207 0.526


Record 3
Formula: C4H11N3
Source: OMol25
Level of theory: the ωB97M-V functional and the def2-TZVPD basis

structure (SMILES): N/C=C(\N)CCN
energy above the lowest of the compared OMol25 structures with the same formula, charge and spin: 41.7 kcal/mol
electronic energy: -323.240020 Eh
spin multiplicity: 1

Positions of all 18 atoms, in Å:
N: 1.021 -2.199 -1.222
C: 0.319 -0.979 -1.059
C: -0.155 -0.605 0.129
N: 0.309 -1.229 1.308
C: -1.156 0.520 0.327
C: -0.575 1.859 -0.157
N: 0.782 2.091 0.359
H: 0.537 -2.995 -0.834
H: 1.293 -2.445 -2.162
H: 0.359 -0.312 -1.910
H: -0.433 -1.618 1.870
H: 1.128 -1.801 1.186
H: -2.051 0.267 -0.238
H: -1.253 0.631 1.404
H: -0.608 1.954 -1.239
H: -1.256 2.619 0.242
H: 1.002 1.348 1.019
H: 0.738 2.895 0.978


Record 4
Formula: C4H11N3
Source: OMol25
Level of theory: the ωB97M-V functional and the def2-TZVPD basis

structure (SMILES): [H]/N=C(\N)NCCC
energy above the lowest of the compared OMol25 structures with the same formula, charge and spin: 62.3 kcal/mol
electronic energy: -323.207237 Eh
spin multiplicity: 1

Positions of all 18 atoms, in Å:
H: -2.837 2.546 -0.759
N: -1.936 2.259 -1.158
C: -1.481 1.380 -0.347
N: -2.065 1.329 0.903
N: -0.326 0.670 -0.332
C: -0.008 -0.575 0.486
C: 1.118 -1.437 0.020
C: 2.304 -0.846 -0.537
H: -1.490 1.704 1.629
H: -2.445 0.337 1.133
H: -0.148 0.403 -1.326
H: 0.069 -0.447 1.550
H: -0.910 -1.130 0.436
H: 0.642 -2.214 -0.734
H: 1.453 -1.944 1.011
H: 2.221 -0.444 -1.491
H: 2.627 -0.009 0.116
H: 3.212 -1.584 -0.600


Record 5
Formula: C4H11N3
Source: OMol25
Level of theory: the ωB97M-V functional and the def2-TZVPD basis

structure (SMILES): [H]/N=N/C.C/C=C/N
energy above the lowest of the compared OMol25 structures with the same formula, charge and spin: 100.3 kcal/mol
electronic energy: -323.146777 Eh
spin multiplicity: 1

Positions of all 18 atoms, in Å:
H: 1.839 -0.731 -1.868
N: 2.247 -0.380 -0.995
N: 1.455 0.507 -0.511
C: 1.829 0.992 0.773
H: 2.462 1.889 0.591
H: 1.078 1.360 1.447
H: 2.436 0.293 1.356
C: -1.975 1.148 -0.498
C: -1.143 -0.108 -0.592
C: -0.950 -0.962 0.421
N: -0.184 -2.174 0.493
H: -1.663 2.073 -1.221
H: -2.181 1.415 0.579
H: -2.904 0.970 -0.907
H: -0.957 -0.341 -1.687
H: -1.132 -0.705 1.486
H: -0.031 -2.519 1.413
H: -0.226 -2.725 -0.280


Record 6
Formula: C4H11N3
Source: OMol25
Level of theory: the ωB97M-V functional and the def2-TZVPD basis

structure (SMILES): [H]/N=C/NCCCN
energy above the lowest of the compared OMol25 structures with the same formula, charge and spin: 45.6 kcal/mol
electronic energy: -323.233841 Eh